Next, work out how many lines further below have the word "KTiIn3" in them; a number is enough.
/*
(1)
VASP calculation (PBE) on a relaxed structure of KTiIn3.

Output
- Space group: No. 221
- E above lowest polymorph: 1254 meV/atom

Structure (POSCAR):
```
KTiIn3
1.0
5.638 0.000 0.000
0.000 5.638 0.000
0.000 0.000 5.638
K Ti In
1 1 3
direct
0.000 0.000 0.000
0.500 0.500 0.500
0.000 0.000 0.500
0.000 0.500 0.000
0.500 0.000 0.000
```


(2)
VASP calculation (PBE) on a relaxed structure of KTiIn3.

Output
- Space group: No. 221
- E above lowest polymorph: 0 meV/atom

Structure (POSCAR):
```
KTiIn3
1.0
5.475 0.000 0.000
0.000 5.475 0.000
0.000 0.000 5.475
K Ti In
1 1 3
direct
0.000 0.000 0.000
0.500 0.500 0.500
0.000 0.500 0.500
0.500 0.000 0.500
0.500 0.500 0.000
```


(3)
VASP calculation (PBE) on a relaxed structure of KTiTlIn2.

Output
- Space group: No. 123

Structure (POSCAR):
```
KTiTlIn2
1.0
5.456 0.000 0.000
0.000 5.456 0.000
0.000 0.000 6.085
K Ti Tl In
1 1 1 2
direct
0.000 0.000 0.000
0.000 0.000 0.500
0.500 0.500 0.000
0.000 0.500 0.500
0.500 0.000 0.500
```


(4)
VASP calculation (PBE) on a relaxed structure of KTl5In.

Output
- Space group: No. 123
- E above lowest polymorph: 0 meV/atom

Structure (POSCAR):
```
KTl5In
1.0
4.783 0.000 0.000
0.000 4.783 0.000
0.000 0.000 10.676
K Tl In
1 5 1
direct
0.000 0.000 0.000
0.000 0.000 0.500
0.000 0.500 0.270
0.000 0.500 0.730
0.500 0.000 0.270
0.500 0.000 0.730
0.500 0.500 0.500
```


(5)
VASP calculation (PBE) on a relaxed structure of K2TlIn.

Output
- Space group: No. 166
- E above lowest polymorph: 172 meV/atom

Structure (POSCAR):
```
K2TlIn
1.0
1.891 1.092 12.112
-1.891 1.092 12.112
0.000 -2.184 12.112
K Tl In
2 1 1
direct
0.250 0.250 0.250
0.750 0.750 0.750
0.500 0.500 0.500
0.000 0.000 0.000
```


(6)
VASP calculation (PBE) on a relaxed structure of KTlIn2.

Output
- Space group: No. 225
- E above lowest polymorph: 118 meV/atom

Structure (POSCAR):
```
KTlIn2
1.0
0.000 3.948 3.948
3.948 0.000 3.948
3.948 3.948 0.000
K Tl In
1 1 2
direct
0.000 0.000 0.000
0.500 0.500 0.500
0.250 0.250 0.250
0.750 0.750 0.750
```


| no. | size of the total moment (μB per cell) | calculated formation energy (meV/atom) |
| --- | --- | --- |
| 1 | 0.0 | 1419 |
| 2 | 1.6 | 165 |
| 3 | 1.8 | 538 |
| 4 | 0.0 | -20 |
| 5 | 0.0 | 76 |
| 6 | 0.0 | 12 |

----------

## NaSr12Cd6 (PBE)

Data for a relaxed structure of NaSr12Cd6.

Structure (extended XYZ):
```
19
Lattice="-5.8770 5.8770 5.8770 5.8770 -5.8770 5.8770 5.8770 5.8770 -5.8770" Properties=species:S:1:pos:R:3 pbc="T T T"
Na 0.0000 0.0000 0.0000
Sr 5.8770 3.6678 -2.4130
Sr 3.4641 0.0000 2.2092
Sr 8.2900 0.0000 2.2092
Sr 2.2092 3.4641 0.0000
Sr 3.6678 -2.4130 5.8770
Sr 0.0000 2.2092 3.4641
Sr 5.8770 3.6678 2.4130
Sr 2.2092 8.2900 0.0000
Sr 3.6678 2.4130 5.8770
Sr -2.4130 5.8770 3.6678
Sr 2.4130 5.8770 3.6678
Sr 0.0000 2.2092 8.2900
Cd 5.8770 1.4544 0.0000
Cd 5.8770 0.0000 4.4226
Cd 4.4226 5.8770 0.0000
Cd 1.4544 0.0000 5.8770
Cd 0.0000 5.8770 1.4544
Cd 0.0000 4.4226 5.8770
```

Values from the calculation:
As for the total energy: -0.05845 Ha/atom. Its formation enthalpy at 0 K is -3.23 eV per formula unit. Its space-group type is No. 204. The calculation puts the total moment at 0.0 μB/f.u.


## Na6SrCd2 (PBE)

Data for a relaxed structure of Na6SrCd2.

Structure (extended XYZ):
```
9
Lattice="4.8090 0.0000 0.0000 0.0000 4.8090 0.0000 0.0000 0.0000 13.0985" Properties=species:S:1:pos:R:3 pbc="T T T"
Na 0.0000 0.0000 0.0000
Na 0.0000 2.4045 2.9551
Na 0.0000 2.4045 10.1434
Na 2.4045 0.0000 2.9551
Na 2.4045 0.0000 10.1434
Na 2.4045 2.4045 0.0000
Sr 0.0000 0.0000 6.5492
Cd 2.4045 2.4045 5.1020
Cd 2.4045 2.4045 7.9965
```

Values from the calculation:
As for the total energy: -0.04922 Ha/atom. Its formation enthalpy at 0 K is -0.63 eV per formula unit. Its space-group type is No. 123. The calculation puts the total moment at 0.0 μB/f.u.


## Na2Sr5Cd2 (PBE)

Data for a relaxed structure of Na2Sr5Cd2.

Structure (extended XYZ):
```
18
*/
4